There are literally upwards of a million+ travel blogs in existence, with thousands more being added daily. The majority of these are written poorly, do not have much useful information, or regurgitate what other sites are writing. I have found the below mentioned sites to offer the most useful hacks for many different areas of your travels. There are many others that could be a part of this list, but I have narrowed it down to the ones that keep me coming back to read more.
1. The Points Guy
Brian Kelly, The Points Guy, shows every possible avenue as to how to maximize your frequent flyer miles and other travel points. He shows you how to book international trips for next to nothing and provides an updated list of the top credit card point bonus offers. It’s one of the best resources for keeping up to date with travel loyalty programs.
2. Fluent In 3 Months
Want to learn a language in the quickest way possible? Benny Lewis provides hacks and unconventional learning techniques for getting up to speed on many languages for your travels. His site offers free posts and videos on his experiences learning various languages around the world. He also offers a course and book (not free) for more in depth study.
3. Roman Fitness Systems
This is not really travel related, but provides the most effective (in my opinion) diet and workout strategies for staying in the best shape possible while you travel. John Romaniello, blog founder, takes a humorous approach to fitness, while offering innovative fitness/diet tips. He trains many celebrities and athletes, but does not take himself too seriously. His posts and comments keep you engaged and wanting to come back to read more.
4. Zen Habits
I have been an avid reader of Zen Habits for years. This is another blog not necessarily travel related, but is one of the best resources for keeping you grounded and finding simplicity while you travel (or doing anything in life). Leo Babauta’s blog (one of the top 25 on the internet) helps you focus on what is important, create something amazing, and find happiness.
5. Nomadic Matt
Nomadic Matt’s site is currently the highest ranked travel blog on the internet. He provides you with the necessary tips and advice on how you can travel anywhere you want on a low budget. His mantra is “tomorrow is too late to start your travel”. He has years of blog posts detailing how to live a life of travel.
6. 48 Hour Adventure
Provides “whirlwind” guides and travel advice for career focused people to explore cities around the world in a short time frame. Justin’s one page guides provide a rundown of the “big ticket items”, restaurants, and accommodations to check out during a weekend stay in many large cities worldwide.
7. Wandering Trader
Marcello Arrambide’s travel blog discusses his experiences while traveling/living through 80+ countries, while day trading. It is a great site for both inspiration and information on unique travel destinations.
8. Eat Your World
One of my favorite sites for finding native/traditional food and drinks for upcoming travel destinations. Sites like TripAdvisor are obviously more comprehensive, but Eat Your World offers an engaging layout and descriptive posts that make you want to take a trip only for food exploration.
by admin

Obtaining dual citizenship opens up your world to multiple travel benefits that do not always present themselves with only a USA passport. Not every country in the world offers the opportunity for dual citizenship and it is not always easy to obtain. The following benefits and methods will help you understand the importance of a second passport and how one could be acquired.
- Expand your travel possibilities – Travel to Cuba legally (see here for how to travel to Cuba sub-legally) and without having to obtain a visa to go to countries like Brazil. Passports from Denmark, Finland, Germany, and Sweden are the most valuable and offer the best travel access to countries around the globe, while Afghanistan, Somalia, and Iraq passports offer the least flexibility. See here for more details on the rankings by country for visa flexibility.
- Reduce your profile – In many destinations, showing a USA passport will instantly profile you as a target to terrorists, or criminal groups that think you have a lot of money.
- Greater travel privacy – USA passports are now equipped with new technology (bio-metric identifiers and a radio-frequency identity chip) that can track everywhere you travel. This could get you into trouble when you travel to places not favored by USA authorities.
- Reside and work in other countries – The legalities and difficulties of trying to maintain residence or work in another country can often be insurmountable. A second passport will open up many opportunities in this regard. For example, a passport from any member of the European Union (EU) will allow you to live and work in any of the 27 EU countries.
- International tax planning – If you ever want to expatriate (give up USA citizenship) and move to a place (ie. Panama) with much more lax tax laws, you must gain a second passport first.
How To Obtain
1. Ancestry
Many countries have programs which grant citizenship to descendants of emigrants. Here are a few examples:
- Ireland – Ireland has detailed and clear laws in determining citizenship eligibility to descendants of Irish nationals. Check out here for more details.
- Poland – The laws for receiving Polish citizenship from a Polish ancestor are difficult to navigate. The following article found here can give you a detailed overview on what is required. If you have Polish ancestors in your bloodline, you may want to contact a firm like CK Law Office in Warsaw to find out your eligibility.
- Germany – Germany offers citizenship for children and grandchildren of former Germans who were deprived of their citizenship status between January 30, 1933 and May 8, 1945 on racial, political, or ethnic grounds. You can read more about it here.
- Italy – Italy offers citizenship to descendants of certain Italian nationals going back two generations. Find out more at MyItalianCitizenship.com.
- Greece – If one or both of your parents or grandparents were born in Greece, you are eligible for Greek citizenship.
- Lithuania – You have a right to citizenship if one of your ancestors was a citizen of the country. See here for more detailed information.
- Canada and United Kingdom – Offer citizenship to those born outside of the country and have parents with citizenship.
**Data records from another source follow:**
=====
[1]
One molecule with the formula C26H34N4O5 in a non-equilibrium geometry, computed with ωB97M-V/def2-TZVPD.

Each line ends with the Löwdin charge.
Positions of all 69 atoms, in Å:
C (2.7242, -1.9073, -5.1306)  -0.08
C (3.8692, -1.2119, -4.3986)  -0.26
N (3.3819, -0.4095, -3.2881)  -0.20
C (4.1848, 0.7703, -3.0216)  -0.26
C (5.6634, 0.5265, -2.6947)  -0.08
C (3.0558, -1.1780, -2.0955)  -0.19
C (1.7939, -0.6338, -1.4226)  -0.14
C (0.5812, -0.7874, -2.3448)  -0.14
N (-0.5282, 0.0323, -1.8947)  0.05
C (-0.6883, 1.3093, -2.3253)  -0.24
C (0.2397, 1.8569, -3.3643)  0.00
C (-1.7020, 2.0735, -1.8288)  0.04
C (-2.5712, 1.5380, -0.8525)  -0.18
C (-2.4186, 0.2568, -0.4166)  -0.02
C (-1.3565, -0.5643, -0.9286)  -0.36
O (-1.1434, -1.7169, -0.5820)  0.07
C (-3.2908, -0.3407, 0.6550)  -0.14
C (-2.4869, -0.6957, 1.8889)  -0.12
C (-2.5766, -1.9564, 2.4472)  -0.01
C (-1.8660, -2.2830, 3.5851)  -0.01
C (-1.0630, -1.3426, 4.2147)  -0.19
O (-0.3118, -1.6118, 5.3304)  -0.11
C (-0.4098, -2.8885, 5.9111)  -0.08
C (-0.9986, -0.0384, 3.6952)  -0.12
O (-0.2678, 0.9818, 4.2577)  -0.09
C (-0.2222, 1.0858, 5.6650)  -0.07
C (-1.6902, 0.2647, 2.5152)  -0.13
O (-1.6517, 1.5355, 1.9742)  -0.07
C (-0.3750, 2.0078, 1.5958)  -0.05
C (-4.3749, 0.6479, 1.0294)  -0.13
C (-5.3099, 0.2542, 1.9903)  -0.21
N (-6.0816, -0.0653, 2.7822)  0.16
C (-4.4099, 1.9060, 0.5344)  -0.29
N (-5.3794, 2.8268, 0.8300)  0.18
O (-3.5391, 2.3833, -0.3928)  0.11
H (3.1169, -2.4762, -5.9696)  0.07
H (2.1904, -2.5883, -4.4734)  0.06
H (2.0210, -1.1704, -5.5098)  0.07
H (4.6044, -1.9652, -4.0731)  0.12
H (4.3678, -0.5406, -5.1016)  0.12
H (3.7238, 1.3019, -2.1852)  0.10
H (4.1192, 1.4161, -3.9038)  0.11
H (5.7691, -0.1176, -1.8250)  0.06
H (6.1751, 0.0607, -3.5331)  0.06
H (6.1488, 1.4745, -2.4780)  0.07
H (3.8788, -1.1756, -1.3668)  0.12
H (2.8757, -2.2150, -2.3817)  0.12
H (1.9342, 0.4213, -1.1771)  0.10
H (1.6104, -1.1717, -0.4920)  0.12
H (0.8598, -0.5217, -3.3615)  0.10
H (0.2379, -1.8244, -2.3163)  0.13
H (1.2821, 1.7102, -3.0931)  0.07
H (0.0692, 1.3646, -4.3216)  0.10
H (0.0543, 2.9193, -3.4923)  0.09
H (-1.8520, 3.0867, -2.1582)  0.12
H (-3.7355, -1.2709, 0.2766)  0.16
H (-3.1943, -2.7043, 1.9758)  0.12
H (-1.9396, -3.2847, 3.9747)  0.10
H (0.2390, -2.8603, 6.7858)  0.09
H (-0.0606, -3.6697, 5.2286)  0.10
H (-1.4338, -3.1105, 6.2276)  0.10
H (0.0630, 2.1183, 5.8705)  0.09
H (0.5179, 0.4087, 6.0964)  0.09
H (-1.1991, 0.8843, 6.1107)  0.10
H (0.1034, 1.3125, 0.8962)  0.09
H (-0.5477, 2.9606, 1.0961)  0.10
H (0.2753, 2.1535, 2.4597)  0.09
H (-5.1476, 3.7848, 0.6239)  0.11
H (-5.9079, 2.6626, 1.6711)  0.10

Summary:
HOMO: -7.93 eV
total energy: -1606.33724 a.u.
total charge: 0
SMILES: CCN(CC)CCCn1c(C)cc2c(c1=O)[C@@H](c1ccc(OC)c(OC)c1OC)C(C#N)=C(N)O2
frontier orbital gap: 0.3137 hartree
ΔE to the lowest compared entry with this formula, charge and spin: 385.6 kJ/mol



[2]
A 3-piece molecular cluster, C26H34N4O5 overall in a non-equilibrium geometry, computed with ωB97M-V/def2-TZVPD.
=====
2. Residency
Here are some of the countries that offer the possibility of citizenship after a period of lawful residency:
- Australia – Apply for citizenship after four years lawful residence (temporary or permanent visa) in Australia. This period must include 12 months as a permanent resident immediately before making an application for Australian citizenship and absences from Australia of no more than 12 months in total in the four years prior to application, including not more than 90 days in the 12 months immediately prior to application.
- Belgium – Apply for citizenship after three years of legal residence.
- Latvia and Austria – Apply for citizenship after 10 years of legal residence.
- USA – After five years of legal residence from the date of receipt of a conditional green card, it is possible to acquire US citizenship and to obtain a passport
- Czech Republic – To apply for citizenship, it is necessary to spend 5 years of legal residence after receiving permanent residence permit. Note that Czech Republic does not allow dual citizenship.
- Brazil – Apply for citizenship after four years of residency. This period can be reduced to one year if you have a Brazilian parent, child, or married to a Brazilian.
- Canada – You must have permanent residence status for three years before being able to apply for citizenship.
- Bahamas – Apply for citizenship if you have resided in the Bahamas for at least 6 years and have lived there for 12 consecutive months before applying.
- Panama – Citizenship can be acquired after five years of legal permanent residence and full immigrant status.
- United Kingdom – Apply for citizenship after being in the country for five years with not spending more than 450 days outside the UK in the period. Also, you must not have spent more that 90 days outside the country and hold permanent residence in the final 12 months immediately preceding the application.
- Spain – Offers a reduced two-year residence before citizenship to citizens of any of several Latin American countries. Also, someone with a grandparent from Spain may apply for citizenship after one year of residency.
3. Economic Contribution
Only three countries in the world offer immediate citizenship through an investment:
- Dominica – Requires USD 75k (100k for family) and 9-12k for government registration charges and due diligence. You also must visit the country and go through a personal interview to gain citizenship.
- St.Kitts & Nevis – Requires USD 250k as minimum investment and 7.5k for due diligence and processing fees. No personal visit is required.
- Austria – By investing EUR 2-3 million, you can directly get the citizenship without any residence requirement. The less expensive option is to provide a EUR 100k investment, which allows you to get a residence permit and citizenship after 10 years of residency. With a residence permit, you can travel visa free to all European ountries.
In Israel, the “Law of Return” entitles all Jews, and those of Jewish ancestry (at least one Jewish parent or grandparent), to be able to obtain Israeli residency and citizenship. If your ancestry does not fit this description, the law also provides the ‘right of return’ to all converted Jews of all denominations, and the conversion need not take place in Israel in order for it to qualify. Once your background check returns clean and you have been accepted, the applicant is entitled to immediate citizenship. For the first year, a temporary travel document is issued. After the first year, the government issues a standard passport.
Anyone born in one of the countries below, no matter their nationality, is entitled to citizenship in that country, no matter the legality or status of the parents:
- Antigua and Barbuda
- Argentina
- Barbados
- Belize
- Bolivia
- Brazil
- Canada
- Chile
- Colombia
- Dominica
- Ecuador
- El Salvador
- Fiji
- Grenada
- Guatemala
- Guyana
- Honduras
- Jamaica
- Mexico
- Nicaragua
- Panama
- Paraguay
- Peru
- Saint Kitts and Nevis
- Saint Lucia
- Saint Vincent and the Grenadines
- Trinidad and Tobago
- United States
- Uruguay
- Venezuela
Marrying a citizen of another country does not usually offer immediate citizenship, but can sometimes speed up the residency requirements for applying for citizenship. For example, you need to legally reside in Colombia for five years before being able to apply for citizenship. This is reduced to two years if you marry a Colombian. In Brazil, the requirement is reduced from four years to one if you marry a citizen.